Next, find the line underneath that holds "-2.410)", then transcribe that line and all lines after it there.

Record 1
Formula: C28H34AsCrI2N9OP
Source: the Open Molecules 2025 dataset
Level of theory: ωB97M-V with the def2-TZVPD basis set

Atoms and positions in Å:
Cr (0.508, 0.862, 0.304)
C (-3.233, 2.615, 3.953)
N (-2.176, 2.651, 2.985)
C (-1.462, 3.754, 2.614)
C (-0.462, 3.319, 1.795)
N (-0.539, 1.971, 1.664)
C (-1.581, 1.564, 2.411)
P (-2.500, 0.025, 1.949)
C (-2.401, 0.259, 0.168)
N (-1.304, 0.528, -0.556)
C (-1.728, 0.740, -1.828)
C (-3.083, 0.609, -1.888)
N (-3.503, 0.302, -0.628)
C (-4.851, 0.111, -0.181)
C (-0.996, -1.041, 2.043)
N (0.153, -0.906, 1.370)
C (0.826, -2.074, 1.557)
C (0.086, -2.924, 2.327)
N (-1.063, -2.264, 2.627)
C (-2.135, -2.697, 3.480)
H (-2.855, 2.869, 4.944)
H (-3.657, 1.613, 3.980)
H (-4.017, 3.325, 3.696)
H (-1.731, 4.741, 2.929)
H (0.287, 3.883, 1.273)
H (-1.037, 0.976, -2.616)
H (-3.770, 0.715, -2.705)
H (-5.480, -0.203, -1.014)
H (-5.254, 1.038, 0.236)
H (-4.868, -0.658, 0.596)
H (1.804, -2.249, 1.159)
H (0.289, -3.923, 2.654)
H (-1.834, -3.588, 4.027)
H (-3.030, -2.925, 2.895)
H (-2.383, -1.908, 4.194)
I (-0.042, 5.052, -2.410)
C (0.987, 3.304, -2.957)
C (1.522, 3.096, -4.216)
C (2.203, 1.927, -4.495)
I (2.977, 1.673, -6.446)
C (2.356, 0.908, -3.526)
C (3.134, -0.258, -3.653)
C (3.145, -1.164, -2.605)
C (2.372, -0.944, -1.477)
N (1.647, 0.162, -1.290)
C (1.693, 1.093, -2.285)
C (1.071, 2.328, -1.960)
O (0.610, 2.485, -0.769)
H (1.420, 3.859, -4.971)
H (3.738, -0.423, -4.532)
H (3.749, -2.055, -2.660)
H (2.350, -1.671, -0.678)
C (4.342, 0.936, 4.252)
N (3.758, 1.110, 2.952)
C (4.386, 1.576, 1.837)
C (3.446, 1.600, 0.848)
N (2.256, 1.152, 1.340)
C (2.478, 0.873, 2.614)
H (5.349, 0.533, 4.158)
H (3.731, 0.243, 4.828)
H (4.393, 1.887, 4.785)
H (5.422, 1.847, 1.823)
H (3.560, 1.906, -0.173)
H (1.742, 0.509, 3.307)
C (-2.124, -2.528, -3.217)
As (-0.567, -2.603, -2.004)
C (-1.027, -4.354, -1.198)
C (0.692, -3.296, -3.350)
H (-2.197, -3.446, -3.800)
H (-2.024, -1.686, -3.902)
H (-3.045, -2.403, -2.646)
H (-1.252, -5.091, -1.966)
H (-1.898, -4.248, -0.551)
H (-0.202, -4.726, -0.591)
H (0.258, -4.105, -3.933)
H (1.593, -3.666, -2.864)
H (0.982, -2.500, -4.034)

Results
Spin multiplicity   5
Max |F|   0.05867 Eh/bohr
Total charge   +1
HOMO level (spin up / spin down)   -6.4 / -8.6 eV
Calculated total energy   -5872.2897 a.u.
<S²>   6.043
Kohn-Sham gap (spin up / spin down)   3.39 / 5.45 eV

Per-atom natural (NBO) charges, elementary charge units: 1.4199, -0.4084, -0.3071, -0.0549, -0.0251, -0.5136, 0.0804, 0.7826, 0.0524, -0.4690, -0.0188, -0.0506, -0.3024, -0.4105, 0.1062, -0.5132, -0.0464, -0.0579, -0.3139, -0.4104, 0.2257, 0.2230, 0.2288, 0.2410, 0.2623, 0.2602, 0.2425, 0.2380, 0.2186, 0.2219, 0.2374, 0.2410, 0.2374, 0.2232, 0.2213, 0.1169, -0.1986, -0.2847, -0.1553, 0.1235, -0.1140, -0.2871, -0.2580, -0.0272, -0.6543, 0.1464, 0.2078, -0.7665, 0.2372, 0.2242, 0.2173, 0.1660, -0.4038, -0.3061, -0.0680, -0.0388, -0.5213, 0.2074, 0.2293, 0.2185, 0.2206, 0.2382, 0.2477, 0.2072, -0.9473, 0.8566, -0.9492, -0.9379, 0.2221, 0.2272, 0.2088, 0.2217, 0.2087, 0.2190, 0.2145, 0.2272, 0.2426

Record 2
Formula: C28H34F3N2PPdS
Source: the Open Molecules 2025 dataset
Level of theory: ωB97M-V with the def2-TZVPD basis set

Atoms and positions in Å:
Pd (-0.204, -0.241, -0.035)
F (-3.719, 3.608, 0.945)
C (-4.324, 2.947, -0.057)
F (-5.091, 1.993, 0.495)
F (-5.169, 3.829, -0.641)
C (-3.341, 2.392, -1.053)
C (-3.304, 2.903, -2.335)
C (-2.379, 2.421, -3.252)
C (-1.528, 1.419, -2.829)
N (-1.561, 0.911, -1.600)
C (-2.427, 1.388, -0.683)
S (-2.239, 0.689, 0.897)
H (-3.997, 3.683, -2.617)
H (-2.326, 2.806, -4.260)
H (-0.795, 0.984, -3.499)
C (1.759, -3.702, 3.209)
C (0.829, -3.136, 2.140)
C (0.865, -3.992, 0.873)
P (1.026, -1.369, 1.660)
C (1.220, -0.424, 3.224)
C (1.500, 1.042, 2.905)
C (-0.047, -0.567, 4.068)
C (2.700, -1.242, 0.916)
C (3.872, -1.597, 1.567)
C (5.126, -1.466, 0.974)
C (6.374, -1.882, 1.696)
C (5.189, -0.944, -0.321)
C (4.053, -0.556, -0.992)
C (2.786, -0.691, -0.385)
N (1.633, -0.275, -0.990)

I (-0.042, 5.052, -2.410)
C (0.987, 3.304, -2.957)
C (1.522, 3.096, -4.216)
C (2.203, 1.927, -4.495)
I (2.977, 1.673, -6.446)
C (2.356, 0.908, -3.526)
C (3.134, -0.258, -3.653)
C (3.145, -1.164, -2.605)
C (2.372, -0.944, -1.477)
N (1.647, 0.162, -1.290)
C (1.693, 1.093, -2.285)
C (1.071, 2.328, -1.960)
O (0.610, 2.485, -0.769)
H (1.420, 3.859, -4.971)
H (3.738, -0.423, -4.532)
H (3.749, -2.055, -2.660)
H (2.350, -1.671, -0.678)
C (4.342, 0.936, 4.252)
N (3.758, 1.110, 2.952)
C (4.386, 1.576, 1.837)
C (3.446, 1.600, 0.848)
N (2.256, 1.152, 1.340)
C (2.478, 0.873, 2.614)
H (5.349, 0.533, 4.158)
H (3.731, 0.243, 4.828)
H (4.393, 1.887, 4.785)
H (5.422, 1.847, 1.823)
H (3.560, 1.906, -0.173)
H (1.742, 0.509, 3.307)
C (-2.124, -2.528, -3.217)
As (-0.567, -2.603, -2.004)
C (-1.027, -4.354, -1.198)
C (0.692, -3.296, -3.350)
H (-2.197, -3.446, -3.800)
H (-2.024, -1.686, -3.902)
H (-3.045, -2.403, -2.646)
H (-1.252, -5.091, -1.966)
H (-1.898, -4.248, -0.551)
H (-0.202, -4.726, -0.591)
H (0.258, -4.105, -3.933)
H (1.593, -3.666, -2.864)
H (0.982, -2.500, -4.034)

Results
Spin multiplicity   5
Max |F|   0.05867 Eh/bohr
Total charge   +1
HOMO level (spin up / spin down)   -6.4 / -8.6 eV
Calculated total energy   -5872.2897 a.u.
<S²>   6.043
Kohn-Sham gap (spin up / spin down)   3.39 / 5.45 eV

Per-atom natural (NBO) charges, elementary charge units: 1.4199, -0.4084, -0.3071, -0.0549, -0.0251, -0.5136, 0.0804, 0.7826, 0.0524, -0.4690, -0.0188, -0.0506, -0.3024, -0.4105, 0.1062, -0.5132, -0.0464, -0.0579, -0.3139, -0.4104, 0.2257, 0.2230, 0.2288, 0.2410, 0.2623, 0.2602, 0.2425, 0.2380, 0.2186, 0.2219, 0.2374, 0.2410, 0.2374, 0.2232, 0.2213, 0.1169, -0.1986, -0.2847, -0.1553, 0.1235, -0.1140, -0.2871, -0.2580, -0.0272, -0.6543, 0.1464, 0.2078, -0.7665, 0.2372, 0.2242, 0.2173, 0.1660, -0.4038, -0.3061, -0.0680, -0.0388, -0.5213, 0.2074, 0.2293, 0.2185, 0.2206, 0.2382, 0.2477, 0.2072, -0.9473, 0.8566, -0.9492, -0.9379, 0.2221, 0.2272, 0.2088, 0.2217, 0.2087, 0.2190, 0.2145, 0.2272, 0.2426

Record 2
Formula: C28H34F3N2PPdS
Source: the Open Molecules 2025 dataset
Level of theory: ωB97M-V with the def2-TZVPD basis set

Atoms and positions in Å:
Pd (-0.204, -0.241, -0.035)
F (-3.719, 3.608, 0.945)
C (-4.324, 2.947, -0.057)
F (-5.091, 1.993, 0.495)
F (-5.169, 3.829, -0.641)
C (-3.341, 2.392, -1.053)
C (-3.304, 2.903, -2.335)
C (-2.379, 2.421, -3.252)
C (-1.528, 1.419, -2.829)
N (-1.561, 0.911, -1.600)
C (-2.427, 1.388, -0.683)
S (-2.239, 0.689, 0.897)
H (-3.997, 3.683, -2.617)
H (-2.326, 2.806, -4.260)
H (-0.795, 0.984, -3.499)
C (1.759, -3.702, 3.209)
C (0.829, -3.136, 2.140)
C (0.865, -3.992, 0.873)
P (1.026, -1.369, 1.660)
C (1.220, -0.424, 3.224)
C (1.500, 1.042, 2.905)
C (-0.047, -0.567, 4.068)
C (2.700, -1.242, 0.916)
C (3.872, -1.597, 1.567)
C (5.126, -1.466, 0.974)
C (6.374, -1.882, 1.696)
C (5.189, -0.944, -0.321)
C (4.053, -0.556, -0.992)
C (2.786, -0.691, -0.385)
N (1.633, -0.275, -0.990)